B2C website for CIVeco
Custom Laravel online store

About project
Client: CIVeco – Industrial equipment supplier for more than 20 years
Business Supplies & Equipment
20 years company
Customer since
Technologies were used
Project Description
CIVeco Online Store is a b2b and b2c platform belonging to an industrial equipment supplier which allows users to purchase a required set of products in several clicks, while the website owner can simply customize the content and its structure via a highly functional admin panel. The website is not only a store, convenient both for the customers and owners, but also a user-friendly catalog, where it’s easy to find a needed product and detailed information about the supplier company itself.
Description of Work
The agile methodology had been chosen for frontend and backend development. Later it was supplemented by the Scrum framework to adjust constantly to never-ending demands of the business. The whole development period included such stages:
- Requirements eliciting and prioritizing
- Prototyping of the system
- Logo and Website design developing and agreement
- The key features implementation
- Website initial content filling
- The mobile layout implementation
- QA Testing of the system
- The website SEO optimization

**Attached: crystal structures:**
Record 1
{
  "formula": "Nb6OsAu",
  "functional": "PBE",
  "state": "relaxed",
  "spacegroup": "Pm-3 (200)",
  "ef_ev_per_atom": -0.167,
  "vol_a3_per_atom": 17.7,
  "density_g_cm3": 11.09,
  "total_energy_ev_per_atom": -9.555,
  "lattice_angstrom": [[5.210, 0.000, 0.000], [0.000, 5.210, 0.000], [0.000, 0.000, 5.210]],
  "species": ["Nb", "Nb", "Nb", "Nb", "Nb", "Nb", "Os", "Au"],
  "fractional_positions": [[0.000, 0.255, 0.500], [0.000, 0.745, 0.500], [0.255, 0.500, 0.000], [0.500, 0.000, 0.255], [0.500, 0.000, 0.745], [0.745, 0.500, 0.000], [0.500, 0.500, 0.500], [0.000, 0.000, 0.000]]
}

Record 2
{
  "formula": "Nb6PtAu",
  "functional": "PBE",
  "state": "relaxed",
  "spacegroup": "Pm-3 (200)",
  "ef_ev_per_atom": -0.224,
  "vol_a3_per_atom": 17.9,
  "density_g_cm3": 11.03,
  "total_energy_ev_per_atom": -8.968,
  "lattice_angstrom": [[5.229, 0.000, 0.000], [0.000, 5.229, 0.000], [0.000, 0.000, 5.229]],
  "species": ["Nb", "Nb", "Nb", "Nb", "Nb", "Nb", "Pt", "Au"],
  "fractional_positions": [[0.000, 0.254, 0.500], [0.000, 0.746, 0.500], [0.254, 0.500, 0.000], [0.500, 0.000, 0.254], [0.500, 0.000, 0.746], [0.746, 0.500, 0.000], [0.500, 0.500, 0.500], [0.000, 0.000, 0.000]]
}

Record 3
{
  "formula": "NdAu6",
  "functional": "PBE",
  "state": "relaxed",
  "spacegroup": "C2/c (15)",
  "ef_ev_per_atom": -0.415,
  "vol_a3_per_atom": 20.4,
  "density_g_cm3": 15.40,
  "total_energy_ev_per_atom": -3.903,
  "lattice_angstrom": [[3.961, -3.941, 0.000], [3.961, 3.941, 0.000], [-1.707, 0.000, 9.161]],
  "species": ["Nd", "Nd", "Au", "Au", "Au", "Au", "Au", "Au", "Au", "Au", "Au", "Au", "Au", "Au"],
  "fractional_positions": [[0.184, 0.816, 0.750], [0.816, 0.184, 0.250], [0.041, 0.664, 0.128], [0.116, 0.278, 0.581], [0.278, 0.116, 0.081], [0.336, 0.959, 0.372], [0.344, 0.458, 0.364], [0.458, 0.344, 0.864], [0.542, 0.656, 0.136], [0.656, 0.542, 0.636], [0.664, 0.041, 0.628], [0.722, 0.884, 0.919], [0.884, 0.722, 0.419], [0.959, 0.336, 0.872]]
}

> What is the formula in the first record?

Nb6OsAu

* * * * *

The following is a PBE calculation of a relaxed Sc7As3 crystal, from the Materials Project database.

The structure belongs to space group I4/mcm (No. 140); the cell edges are 14.455, 14.455 and 8.055 Å and the angles 90.00°, 90.00° and 90.00°. The inequivalent atoms are Sc at (0.000, 0.000, 0.250), Sc at (0.000, 0.500, 0.250), Sc at (0.020, 0.328, 0.000), Sc at (0.120, 0.125, 0.500), Sc at (0.168, 0.332, 0.305), As at (0.000, 0.194, 0.250) and As at (0.221, 0.279, 0.000).

As for the crystal system: tetragonal. The calculation puts the energy of formation from the pure elements at -887 meV per atom. The calculation puts the energy at -6.72 eV per atom.



The following is a PBE calculation of a relaxed ScAs crystal, from the Materials Project database.

The webshop
- multiservice payment system: Visa, mastecard, CB, Paypal are maintained;
- automated invoices management: while the admin gets all the required customer’s information (including the generated bar-code), the user gets the order confirmation;
- user registration for future tracking: the user can register to make the purchases faster and see the orders history, while the admin get a required info for the targeting.
The content management system
- a custom Laravel solution;
- a secured admin panel with an intuitive interface;
- an ability for the admin to manage the products description and availability on the website (the price can be hide and displayed as well);
- an option to change the website structure: the admin can not symply change the content, but delete or add new website sections in and easy way.

Simple navigation and fast search
- the website designed to provide an intuitive navigation experience for the end user;
- if the user prefers an alternative to the navigation, the filtering, sorting and searching functionality is highly fast and reliable.
The mobile layout
Civeco Online Store webside has a responsible layout and with special version not only for smartphines, but for iPads and Android tablets as well.

Flexibility as a response to fast-changing market requirements
After the project has been launched, it was found out by the client that there is a need to implement the minimum order border. Due to the thinking ahead project design, the implementation was easy and didn’t take many investments.
Benefits of CIVeco Online Store
Customers and orders number increasing
Online representatives, especially in the combination with the online shopping system, attracted new users and increased the number of purchases coming from the previous customers.
The business card
Owning of the website with the bunch of the information, interesting for users, allowed the client to be prepared for any venues and exhibitions in a faster way while feeling confidently during the events.
Long-running investment
The highly functional admin panel allowed the client to adapt the website for the constantly changing business needs for a long period of time without a necessity to engage a development team for small structure and content improvements.